Halo Infinite celebrates the 20th anniversary of Halo 2 with Operation: Great Journey. It focuses on new cosmetics, including new armour, so let’s take a dive into some of the customisation options and items you can unlock.
When is the Halo Infinite New Update Release Date?
The Halo Infinite Operation: Great Journey new update launches on November 5 at 7:00 PM UTC. It runs through to December 3.
Mjolnir Mark VI
You can now claim the Mjolnir Mark VI armour, first received by Master Chief aboard Cairo Station at the start of Halo 2. The Mark VI saw vast improvements including a more resilient and quicker-charging energy sheild and a streamlined and more compact design.

How to claim:
You can claim the Mark VI armour by acquiring the Rocket Reclaimer bundle from Halo Infinite’s shop. Other items included in the bundle are:
- Master Chief Mark VI armor kit
- Green Man armour coating
- Veteran SPNKr weapon model
- Veteran Metal weapon coating
Vadums Armour and Veteran SRS99 Weapon Model
First seen worn by “Half-Jaw” Vadum in Halo 2 as he led the Covenant forces tasked with eliminating Sesa ‘Refumee. Vadum is set to appear as a character in the upcoming novel Halo: Empty Throne, releasing early next year.

How to claim:
You can claim the Thremaleon armor in Operation: Great Journey’s free 20-tier Operation pass. Custom craft the armor at Kolaar Manufactorum, if your Spartan is selected to serve in the Swords of Sanghelios special forces.
You can also upgrade to the Premium Pass to acquire the Veteran SRS99 weapon model or Damascus Alchemy weapon coating.
Helioskrill Armor
The popular Helioskrill armour can now be acquired. First introduced in Halo 5, Helioskrill has been a fan favourite for being a both a work of art and functional armor for Spartan super-soldiers.

How to claim:
You can acquire the Heliosrkill armor from the Arbitration bundle in the shop. Other items in the bundle include:
- Helioskrill helmet
- Stormclaw Mask helmet attachment
- Helioskrill Pauldrons shoulder pads
- Helioskrill Harness chest attachment
- Helioskrill Cuisse hip gear
- Helioskrill Poleyn kneepads
- Risk Explorer armor coating
- Reclaimed Wings armor effects set
Marine Corps Armour
You can now unlock common UNSC Marine Corp uniforms as seen in Halo 2, you can claim this from the Wartime Requisitions bundle.

• Someone pasted calculated crystals at this point:
-- begin --
Record 1
First-principles (PBE-GGA) data for a relaxed structure of Mn2Nb9Ge8, as listed in the Materials Project.

abc: 14.0026 5.3365 16.8490
angles: 90.00 90.00 90.00
Space group Pnma (No. 62)
Unique sites:
Mn (0.1362, 0.2500, 0.1606) x4
Mn (0.1935, 0.7500, 0.7494) x4
Nb (0.0495, 0.7500, 0.5949) x4
Nb (0.0588, 0.0004, 0.8798) x8
Nb (0.0668, 0.2500, 0.6954) x4
Nb (0.1257, 0.2500, 0.4973) x4
Nb (0.1291, 0.7500, 0.0417) x4
Nb (0.1356, 0.0036, 0.3239) x8
Nb (0.2471, 0.7500, 0.4727) x4
Ge (0.0108, 0.7500, 0.7470) x4
Ge (0.0486, 0.7500, 0.4397) x4
Ge (0.0614, 0.2500, 0.0202) x4
Ge (0.0869, 0.7500, 0.1944) x4
Ge (0.2032, 0.2500, 0.8053) x4
Ge (0.2192, 0.0026, 0.6193) x8
Ge (0.2245, 0.7500, 0.9026) x4

Results
magnetic moment: 0.236 μB per atom
calculated formation energy: -6.9 eV per formula unit
V: 1259.0 Å³ per cell

=====

Record 2
First-principles (PBE-GGA) data for a relaxed structure of SbIO2F8, as listed in the Materials Project.

abc: 5.9034 10.2487 12.9560
angles: 90.00 102.55 90.00
Space group P2_1/c (No. 14)
Unique sites:
Sb (0.0023, 0.2485, 0.4906) x4
I (0.2734, 0.0089, 0.1814) x4
O (0.0946, 0.1536, 0.1354) x4
O (0.2005, 0.5849, 0.5577) x4
F (0.0398, 0.5622, 0.7398) x4
F (0.1101, 0.6720, 0.1437) x4
F (0.1889, 0.1059, 0.5494) x4
F (0.2524, 0.6937, 0.9532) x4
F (0.2525, 0.1677, 0.9466) x4
F (0.3712, 0.0941, 0.3099) x4
F (0.4623, 0.5752, 0.3557) x4
F (0.4628, 0.6255, 0.7475) x4

Results
magnetic moment: 0.000 μB per atom
calculated formation energy: -23.4 eV per formula unit
V: 765.1 Å³ per cell

=====

Record 3
First-principles (PBE-GGA) data for a relaxed structure of Na6Ge2S7, as listed in the Materials Project.

abc: 9.1841 10.5681 15.2421
angles: 90.00 104.76 90.00
Space group C2/c (No. 15)
Unique sites:
Na (0.0000, 0.0000, 0.0000) x4
Na (0.0000, 0.0787, 0.2500) x4
Na (0.1147, 0.3537, 0.5735) x8
Na (0.2304, 0.2222, 0.8612) x8
Ge (0.1567, 0.4186, 0.3601) x8
S (0.0000, 0.4616, 0.7500) x4
S (0.0519, 0.2431, 0.3942) x8
S (0.1322, 0.1251, 0.6798) x8
S (0.1971, 0.4372, 0.9714) x8

Results
calculated formation energy: -17.3 eV per formula unit
V: 1430.5 Å³ per cell

=====

Record 4
First-principles (PBE-GGA) data for a relaxed structure of Al2Si3Sn3O12, as listed in the Materials Project.

abc: 12.3182 12.3182 12.3182
angles: 90.00 90.00 90.00
Space group Ia-3d (No. 230)
Unique sites:
Al (0.0000, 0.0000, 0.0000) x16
Si (0.0000, 0.2500, 0.3750) x24
Sn (0.0000, 0.2500, 0.1250) x24
O (0.0381, 0.1495, 0.9577) x96

Results
magnetic moment: 0.000 μB per atom
calculated formation energy: -52.9 eV per formula unit
V: 1869.2 Å³ per cell

=====

Record 5
First-principles (PBE-GGA) data for a relaxed structure of Ce2InCuSe5, as listed in the Materials Project.

abc: 12.1195 4.0940 17.3505
angles: 90.00 90.00 90.00
Space group Pnma (No. 62)
Unique sites:
Ce (0.0243, 0.2500, 0.1794) x4
Ce (0.1366, 0.7500, 0.5944) x4
In (0.1909, 0.7500, 0.3606) x4
Cu (0.0793, 0.7500, 0.9953) x4
Se (0.0181, 0.2500, 0.6956) x4
Se (0.0990, 0.2500, 0.9206) x4
-- stop --

Other items in the bundle:
- XM55 ACH helmet
- HUL-I/UPTIK helmet attachment
- UA/Model 48 shoulder pads
- UA/M532 Plate chest attachment
- UA/ULAP hip gear
- UA/Type MI kneepads
- Pixel Camouflage armor coating
- Podium Finish stance
Mark V Zeta Helmet and Scorpion Punch Armour
Making it’s re-appearance for the first time since the Tactical Ops event in 2022, you can now claim the fan-favourite Mark V Zeta helment and Scorpion Punch armour.
In the winter update comes a refresh to The Exchange, play matches and complete certain challenges to earn Spartan Points.

There’s more to come!
More customisation items are to come, Free to Player will bring these updates to you as soon as they’re released, stay tuned!
You can learn more about the new update on Steam.